## Assignment
Restate the whole of the lines underneath word for word, please.

## Contents
'''
ORCA calculation (wB97M-V/def2-TZVPD) on an isolated ion of composition C3H10NS2 and charge +1 at a distorted geometry.

Calculated values
E_tot = -26426.7896 eV
LUMO level = -3.4907 eV
Largest force on an atom = 2.1 eV/A
Energy relative to the best compared isomer or geometry (same formula, charge and spin) = 73.3 kJ/mol
Orbital gap = 9.128 eV
Total charge = +1
SMILES = CSSCC[NH3+]
2S+1 = 1

XYZ file:
```
16
Properties=species:S:1:pos:R:3:forces:R:3
N -0.02750 0.75815 -2.04940 1.36 -1.59 0.45
C -0.54977 1.42110 -0.81993 0.73 1.32 -0.52
C 0.48734 1.30570 0.30420 -0.34 -0.16 0.09
S 1.33537 -0.31101 0.42709 -1.52 -0.13 -0.59
S -0.48007 -1.49593 0.46054 1.66 0.43 0.73
C -0.09256 -2.46156 1.97175 -1.50 0.55 0.80
H 0.51554 -0.07345 -1.69651 -0.67 -0.18 0.03
H -0.73727 0.44139 -2.70131 0.00 0.19 -0.29
H 0.77731 1.20072 -2.50013 -0.63 0.81 -0.33
H -0.58751 2.48550 -1.07883 -0.48 -0.18 0.18
H -1.54866 1.05389 -0.62355 0.09 -0.27 0.18
H -0.04319 1.46927 1.23412 0.05 0.24 0.20
H 1.21453 2.10619 0.14185 0.23 -0.31 0.30
H -0.55323 -2.07302 2.89178 -0.13 0.58 -0.50
H -0.67201 -3.37351 1.81491 1.01 -0.48 -0.06
H 0.96168 -2.45344 2.22341 0.14 -0.81 -0.67
```
Forces are in eV/Å.

ORCA calculation (wB97M-V/def2-TZVPD) on an isolated molecule of C4H6N2O2 at a distorted geometry.

Calculated values
E_tot = -11315.7675 eV
LUMO level = 0.9211 eV
Largest force on an atom = 2.3 eV/A
Energy relative to the best compared isomer or geometry (same formula, charge and spin) = 508.9 kJ/mol
Orbital gap = 9.706 eV
SMILES = [H]/N=c1\ccon1OC
2S+1 = 1

XYZ file:
```
14
Properties=species:S:1:pos:R:3:forces:R:3
C -1.97034 -0.42307 0.41508 -0.39 -1.41 0.20
C 1.75558 -0.94269 -0.04450 0.66 -0.70 1.38
C 1.82722 0.39035 -0.10873 0.99 0.10 -0.03
C 0.49965 0.84577 -0.41978 -1.84 0.30 -0.17
H -1.26217 -0.03467 1.16644 -0.49 0.44 -0.67
H -2.21300 -1.45077 0.80563 -0.06 0.85 -0.64
H -2.88694 0.15953 0.21942 0.63 -0.12 0.61
H 2.47229 -1.61229 0.42398 0.01 -0.02 -0.59
H 2.75631 0.91199 0.09381 -0.53 0.24 0.11
H 0.18575 2.74854 -0.06415 0.03 -0.76 -0.08
N -0.09133 -0.38414 -0.93877 1.35 1.03 -0.56
N -0.28188 1.86048 -0.29651 1.22 -0.27 -0.36
O -1.36798 -0.57612 -0.91429 -2.17 0.08 0.89
O 0.57685 -1.49290 -0.33764 0.59 0.25 -0.08
```
Forces are in eV/Å.

ORCA calculation (wB97M-V/def2-TZVPD) on an isolated molecule of C4H5NO at a distorted geometry.

Calculated values
E_tot = -7765.1240 eV
LUMO level = 0.8330 eV
Largest force on an atom = 1.1 eV/A
Energy relative to the best compared isomer or geometry (same formula, charge and spin) = 135.3 kJ/mol
Orbital gap = 11.345 eV
SMILES = N#C[C@@H]1C[C@@H]1O
2S+1 = 1

XYZ file:
```
11
Properties=species:S:1:pos:R:3:forces:R:3
O 1.71013 -0.15958 -0.46182 -0.03 -0.15 0.00
C 0.78516 0.32586 0.45276 -0.05 0.06 0.26
C -0.33940 1.14367 -0.08807 0.03 0.10 -0.07
C -0.62240 -0.24175 0.47058 -0.08 -0.14 0.05
C -0.89390 -1.34025 -0.41957 -0.11 -0.71 -0.66
N -1.02182 -2.22701 -1.15456 0.14 0.86 0.69
H 1.33083 -0.92070 -0.92087 0.14 -0.04 -0.04
H 1.23534 0.51662 1.42331 -0.15 0.16 -0.16
H -0.78406 1.98800 0.43605 0.27 -0.21 -0.09
H -0.27809 1.21453 -1.17146 -0.25 0.08 0.20
H -1.12180 -0.29940 1.43366 0.09 -0.01 -0.18
```
Forces are in eV/Å.

ORCA calculation (wB97M-V/def2-TZVPD) on C38H34AsFeN4O2S2Si as an isolated structure.

Calculated values
E_tot = -174793.5453 eV
LUMO level (alpha / beta) = 2.4935 / 2.4935 eV
Largest force on an atom = 0.7 eV/A
Energy relative to the best compared isomer or geometry (same formula, charge and spin) = 0.0 kJ/mol
Orbital gap (alpha / beta) = 6.651 / 6.650 eV
Total charge = -1
2S+1 = 1

XYZ file:
```
83
Properties=species:S:1:pos:R:3:forces:R:3
Fe 0.57979 0.10453 0.98103 0.15 0.50 0.40
O -1.68290 -3.23761 0.95775 0.00 0.00 0.00
C -1.15901 -2.13662 0.93702 0.01 0.03 0.03
N 0.15175 -1.78802 0.91932 -0.08 -0.26 0.05
C 1.17913 -2.67534 0.99976 0.03 0.03 0.03
O 1.17005 -3.89218 1.01637 0.00 0.01 0.01
C 2.49378 -1.92553 1.12774 0.03 0.00 0.02
C 3.69413 -2.60999 1.19339 0.00 0.02 0.00
'''

## Result
ORCA calculation (wB97M-V/def2-TZVPD) on an isolated ion of composition C3H10NS2 and charge +1 at a distorted geometry.

Calculated values
E_tot = -26426.7896 eV
LUMO level = -3.4907 eV
Largest force on an atom = 2.1 eV/A
Energy relative to the best compared isomer or geometry (same formula, charge and spin) = 73.3 kJ/mol
Orbital gap = 9.128 eV
Total charge = +1
SMILES = CSSCC[NH3+]
2S+1 = 1

XYZ file:
```
16
Properties=species:S:1:pos:R:3:forces:R:3
N -0.02750 0.75815 -2.04940 1.36 -1.59 0.45
C -0.54977 1.42110 -0.81993 0.73 1.32 -0.52
C 0.48734 1.30570 0.30420 -0.34 -0.16 0.09
S 1.33537 -0.31101 0.42709 -1.52 -0.13 -0.59
S -0.48007 -1.49593 0.46054 1.66 0.43 0.73
C -0.09256 -2.46156 1.97175 -1.50 0.55 0.80
H 0.51554 -0.07345 -1.69651 -0.67 -0.18 0.03
H -0.73727 0.44139 -2.70131 0.00 0.19 -0.29
H 0.77731 1.20072 -2.50013 -0.63 0.81 -0.33
H -0.58751 2.48550 -1.07883 -0.48 -0.18 0.18
H -1.54866 1.05389 -0.62355 0.09 -0.27 0.18
H -0.04319 1.46927 1.23412 0.05 0.24 0.20
H 1.21453 2.10619 0.14185 0.23 -0.31 0.30
H -0.55323 -2.07302 2.89178 -0.13 0.58 -0.50
H -0.67201 -3.37351 1.81491 1.01 -0.48 -0.06
H 0.96168 -2.45344 2.22341 0.14 -0.81 -0.67
```
Forces are in eV/Å.

ORCA calculation (wB97M-V/def2-TZVPD) on an isolated molecule of C4H6N2O2 at a distorted geometry.

Calculated values
E_tot = -11315.7675 eV
LUMO level = 0.9211 eV
Largest force on an atom = 2.3 eV/A
Energy relative to the best compared isomer or geometry (same formula, charge and spin) = 508.9 kJ/mol
Orbital gap = 9.706 eV
SMILES = [H]/N=c1\ccon1OC
2S+1 = 1

XYZ file:
```
14
Properties=species:S:1:pos:R:3:forces:R:3
C -1.97034 -0.42307 0.41508 -0.39 -1.41 0.20
C 1.75558 -0.94269 -0.04450 0.66 -0.70 1.38
C 1.82722 0.39035 -0.10873 0.99 0.10 -0.03
C 0.49965 0.84577 -0.41978 -1.84 0.30 -0.17
H -1.26217 -0.03467 1.16644 -0.49 0.44 -0.67
H -2.21300 -1.45077 0.80563 -0.06 0.85 -0.64
H -2.88694 0.15953 0.21942 0.63 -0.12 0.61
H 2.47229 -1.61229 0.42398 0.01 -0.02 -0.59
H 2.75631 0.91199 0.09381 -0.53 0.24 0.11
H 0.18575 2.74854 -0.06415 0.03 -0.76 -0.08
N -0.09133 -0.38414 -0.93877 1.35 1.03 -0.56
N -0.28188 1.86048 -0.29651 1.22 -0.27 -0.36
O -1.36798 -0.57612 -0.91429 -2.17 0.08 0.89
O 0.57685 -1.49290 -0.33764 0.59 0.25 -0.08
```
Forces are in eV/Å.

ORCA calculation (wB97M-V/def2-TZVPD) on an isolated molecule of C4H5NO at a distorted geometry.

Calculated values
E_tot = -7765.1240 eV
LUMO level = 0.8330 eV
Largest force on an atom = 1.1 eV/A
Energy relative to the best compared isomer or geometry (same formula, charge and spin) = 135.3 kJ/mol
Orbital gap = 11.345 eV
SMILES = N#C[C@@H]1C[C@@H]1O
2S+1 = 1

XYZ file:
```
11
Properties=species:S:1:pos:R:3:forces:R:3
O 1.71013 -0.15958 -0.46182 -0.03 -0.15 0.00
C 0.78516 0.32586 0.45276 -0.05 0.06 0.26
C -0.33940 1.14367 -0.08807 0.03 0.10 -0.07
C -0.62240 -0.24175 0.47058 -0.08 -0.14 0.05
C -0.89390 -1.34025 -0.41957 -0.11 -0.71 -0.66
N -1.02182 -2.22701 -1.15456 0.14 0.86 0.69
H 1.33083 -0.92070 -0.92087 0.14 -0.04 -0.04
H 1.23534 0.51662 1.42331 -0.15 0.16 -0.16
H -0.78406 1.98800 0.43605 0.27 -0.21 -0.09
H -0.27809 1.21453 -1.17146 -0.25 0.08 0.20
H -1.12180 -0.29940 1.43366 0.09 -0.01 -0.18
```
Forces are in eV/Å.

ORCA calculation (wB97M-V/def2-TZVPD) on C38H34AsFeN4O2S2Si as an isolated structure.

Calculated values
E_tot = -174793.5453 eV
LUMO level (alpha / beta) = 2.4935 / 2.4935 eV
Largest force on an atom = 0.7 eV/A
Energy relative to the best compared isomer or geometry (same formula, charge and spin) = 0.0 kJ/mol
Orbital gap (alpha / beta) = 6.651 / 6.650 eV
Total charge = -1
2S+1 = 1

XYZ file:
```
83
Properties=species:S:1:pos:R:3:forces:R:3
Fe 0.57979 0.10453 0.98103 0.15 0.50 0.40
O -1.68290 -3.23761 0.95775 0.00 0.00 0.00
C -1.15901 -2.13662 0.93702 0.01 0.03 0.03
N 0.15175 -1.78802 0.91932 -0.08 -0.26 0.05
C 1.17913 -2.67534 0.99976 0.03 0.03 0.03
O 1.17005 -3.89218 1.01637 0.00 0.01 0.01
C 2.49378 -1.92553 1.12774 0.03 0.00 0.02
C 3.69413 -2.60999 1.19339 0.00 0.02 0.00